**Source:**
-- begin --
VASP calculation (PBE-GGA) on a geometry-optimized MgGa8Ag6 structure.

CIF file:
```
data_MgGa8Ag6
_chemical_formula_sum 'Mg3 Ga24 Ag18'
_symmetry_space_group_name_H-M 'R -3'
_symmetry_Int_Tables_number 148
_symmetry_space_group_name_Hall '-R 3'
_cell_length_a 7.7156
_cell_length_b 7.7156
_cell_length_c 16.3112
_cell_angle_alpha 90.00
_cell_angle_beta 90.00
_cell_angle_gamma 120.00
loop_
_atom_site_label
_atom_site_type_symbol
_atom_site_fract_x
_atom_site_fract_y
_atom_site_fract_z
Mg1 Mg 0.0000 0.0000 0.0000
Ga1 Ga 0.0000 0.0000 0.2274
Ga2 Ga 0.0082 0.6589 0.8059
Ag1 Ag 0.0403 0.7953 0.6403
```

Values from the calculation:
- theoretical density (g cm⁻³) = 7.3
- magnetization (μB/atom) = 0.000
- Fermi-level density of states (states/eV/cell) = 12.4
- offset from the most stable computed form (kJ/mol of atoms) = 0.0
- V (A^3/atom) = 18.687
-- stop --

**Request:**
Type out every line earlier on that contains the word "atom".

**Outcome:**
- magnetization (μB/atom) = 0.000
- V (A^3/atom) = 18.687